Houston Airshow 2024

These calculated molecules were left in the article by mistake
- - -
ORCA calculation (ωB97M-V/def2-TZVPD) on a cluster of 19 separate species, C75H105N9O10 in total at a distorted geometry.

```
199
Properties=species:S:1:pos:R:3:forces:R:3
O 0.8511 7.3106 1.5581 -0.1229 0.4058 -1.1098
O -7.1061 -3.7063 -4.7159 2.0994 1.6897 1.6725
O -4.2448 3.4915 -6.3851 2.4098 -1.7594 0.1690
O -3.7511 4.3659 4.5167 -0.0957 -2.6200 -1.0546
O -0.1638 -1.7458 0.2257 -0.9368 0.0691 0.1167
O -3.7834 -2.8866 -1.3259 0.3501 -1.6206 0.6755
O -0.5069 5.2268 -2.9076 0.4479 0.0536 -0.0818
O 1.1334 3.7259 2.9174 -0.5109 -0.2901 0.3618
O -5.0712 0.1139 2.9129 -0.1907 0.0108 -0.1289
O 4.1032 4.2154 -0.7054 -2.1117 0.9350 0.1024
N -1.3550 -3.3110 -5.5530 -0.5248 0.7548 1.3869
N 7.4012 0.3191 -1.0364 -0.7410 0.8640 0.6442
N 2.7428 -0.0189 -3.0787 -0.2919 1.0152 0.1901
N -4.6575 0.8103 -2.6304 -1.0378 0.8648 -0.1192
N 0.1294 -6.4102 1.0694 -0.0206 1.9214 0.6514
N 4.1609 -1.7248 2.8436 0.6856 -0.4902 1.2088
N 4.9480 -3.7731 -1.8996 -0.3357 -0.0614 -0.5937
N 8.0333 1.9424 4.4742 1.4586 0.0588 -1.4003
N -1.1321 -1.1793 6.4130 0.2036 -0.5765 0.2120
C 4.9075 -2.0938 3.9359 -0.8612 0.0007 -0.8604
C 3.9482 -2.6429 1.9062 0.9942 -0.7950 0.9787
C 1.1576 -7.0804 3.5521 0.4307 0.2377 -0.6248
C 2.6502 -3.7433 -1.2012 -0.4626 -1.4106 -0.2188
C -1.8698 3.5787 -1.8955 -0.0199 1.0350 0.0149
C 0.5366 -8.0477 2.7682 -1.1032 0.6146 0.6473
C 5.1524 0.7105 -0.1583 1.3504 0.3124 0.0679
C -4.2238 -5.2492 -1.6552 0.1665 1.1965 -0.5184
C 4.5189 -3.9472 2.0236 -0.2365 0.3276 -0.6985
C 0.7915 -5.4461 1.7823 -0.4834 -2.8325 0.9820
C -1.6049 4.7231 -2.8675 0.5963 -0.3420 0.6715
C 6.9355 2.3398 0.2059 -0.4653 -0.9033 -0.4484
C 0.7947 -2.1081 5.3309 -0.3980 1.1742 1.1089
C -1.3672 0.2084 -0.4009 -0.7619 0.0621 -0.0231
C -0.3777 -0.1346 6.7900 -1.2533 -0.1467 0.0260
C -2.4378 -1.1666 -5.1816 1.0687 -0.9908 1.2232
C 5.4664 -3.3462 4.0977 0.0403 -0.4754 0.3390
C -1.2820 -2.2209 -3.3334 -1.0214 0.0644 -1.1508
C 0.0295 1.7627 3.7029 0.6006 -0.2218 -0.0645
C 6.7961 0.4573 3.0582 1.3316 -0.2942 -0.1807
C 3.1793 1.2605 -2.9479 -1.3495 0.6389 -1.3431
C 3.8798 -5.8215 -1.3253 0.0861 0.4089 -0.4478
C 5.3000 -4.2970 3.1047 -0.7234 0.7617 -0.5658
C 0.9475 0.0367 6.5054 0.5114 -0.6946 -1.3428
C 1.7221 3.8960 -0.1947 1.4802 0.2409 0.0272
C 0.7030 0.8182 -4.1059 1.0168 -0.0781 0.4567
C 3.7804 -3.1246 -1.6888 1.4684 -0.1584 1.3543
C -6.4448 -2.8967 -4.0210 -2.7388 -0.8600 -1.5189
C 5.6076 1.8915 0.4124 0.4781 0.3235 0.3073
C 6.0922 -0.0261 -0.8698 1.2200 0.5222 -0.3875
C 2.4533 2.3758 -3.4522 -0.6499 -1.6330 -0.5459
C -3.5508 -4.0484 -0.9828 -0.2074 0.1192 -0.2079
C 1.2139 2.5969 3.3524 1.9883 0.5409 -0.8546
C -5.1220 -2.3399 -4.5129 -0.8162 -0.4877 0.4734
C 2.7346 6.1912 -0.9398 0.4057 0.5374 -0.3220
C -3.3760 2.6679 -6.7289 -1.7826 0.8526 -0.1506
C -6.0331 2.8053 -2.1988 1.2802 -1.2314 -1.4721
C -1.1319 -3.3095 -4.2119 1.1491 0.3924 -0.1044
C 9.1848 0.0234 3.4645 -2.2763 0.9263 -1.5223
C 4.9825 -5.1034 -1.7782 -0.9129 0.6571 0.0475
C -5.6076 -1.7825 1.6001 0.5202 -0.7675 -0.0849
- - -
Back to the article

COVID-19: Exploit what you can control

  • Published
  • By Army Col. Elizabeth A. Martin

"Can't," "don't," "contain" and "restrict" are negative words present everywhere in the news, the media and conversation. The threat of the COVID-19 coronavirus will undoubtedly remain a challenge for everyone for months to come. Significant abrupt restrictions and closures are making many within our communities feel very controlled and unhappy. 

With so much heightened fear, paranoia and global concern due to COVID-19, stress and anxiety continue to skyrocket. While the containment strategy the United States is executing is difficult, it is vital to follow directed medical and public health expert precautions, mandates and guidelines to "curtail the curve" and control the rampant spread of this highly contagious and deadly illness.

As we all do our part to help, fear is natural. However when left unharnessed, fear can lead to panic and destructive behavior. We are already seeing this in grocery stores and other shops — just try looking for toilet paper! 

+++
Entry 1:
C9H14 | ωB97M-V with the def2-TZVPD basis set

Last column: Mulliken charge in e.
Atoms and positions in Å:
C: -2.84345 1.52590 1.43444  -1.4030
C: -1.42087 1.24138 1.03773  0.9816
C: -0.90551 1.84007 -0.10888  -0.4368
C: 0.38967 1.55464 -0.52550  -0.4917
C: 1.19022 0.70337 0.21451  -0.5096
C: 0.70096 0.19339 1.40030  -0.4851
C: -0.63400 0.34618 1.76245  -0.4904
H: -3.39464 0.62505 1.70758  0.3405
H: -3.41148 2.02037 0.64611  0.3633
H: -2.90997 2.20367 2.29322  0.2912
H: -1.52712 2.55400 -0.63306  0.3006
H: 0.76012 2.09549 -1.38960  0.3564
H: 2.18557 0.41223 -0.09751  0.4713
H: 1.36983 -0.31461 2.08562  0.3711
H: -0.97666 0.05712 2.75023  0.3344
C: 1.67949 -2.30457 -1.73195  -0.7007
C: 1.60702 -3.59440 -2.53980  -0.9931
H: 1.66792 -2.47516 -0.65433  0.2821
H: 2.62351 -1.78638 -1.91777  0.2774
H: 0.86357 -1.62485 -1.97022  0.2674
H: 1.97820 -3.40791 -3.55167  0.2830
H: 0.59053 -3.97361 -2.64328  0.2976
H: 2.20891 -4.40194 -2.12029  0.2924

HOMO level = -9.03 eV
SMILES = Cc1ccccc1.CC
Electronic energy = -351.31971 Ha
Relative energy (zero: lowest compared OMol25 entry of this formula, charge and spin) = 6.6 kcal per mole
Max |F| = 1.660 eV Å⁻¹
Charge = 0

=====

Entry 2:
C4H22NO11 | ωB97M-V with the def2-TZVPD basis set

Last column: Mulliken charge in e.
Atoms and positions in Å:
C: -2.07873 -0.80271 -0.66491  -0.2771
N: -0.95350 -0.33747 -0.06699  0.4219
C: 0.89866 -1.78786 -0.76607  -1.5172
C: 0.36666 -0.36694 -0.67772  1.8438
C: 1.26285 0.62161 0.06262  -0.0433
O: 0.95119 1.85363 0.08375  -0.7783
O: 2.35176 0.22324 0.53633  -0.7525
O: -2.07801 -1.42278 -1.72502  -0.6267
H: -2.93806 -0.51321 -0.05616  0.3899
H: -1.00459 0.18880 0.81834  0.0322
H: 1.89579 -1.80354 -1.29102  0.2701
H: 0.25669 -2.47433 -1.28286  0.4799
H: 0.97787 -2.24772 0.25114  0.3045
H: 0.40001 0.08083 -1.67869  -0.6749
H: -1.00338 -1.45729 -3.23669  0.3485
H: 0.18796 -1.99290 -3.48105  0.2962
O: -0.17377 -1.12658 -3.74544  -0.6274
H: 1.14619 2.84088 -1.97003  0.2888
H: 0.69031 1.62712 -2.60651  0.4219
O: 0.52482 2.57499 -2.66428  -0.6412
H: 1.78657 -1.46031 2.76483  0.2580
H: 2.85451 -1.33083 1.64074  0.4229
O: 2.53009 -1.91364 2.34960  -0.6641
H: 1.55582 1.87507 2.19713  0.3531
H: 1.75115 0.84763 3.36142  0.3376
O: 1.54865 1.76451 3.16203  -0.6926
H: -2.45097 0.57718 -3.63635  0.3301
H: -2.06897 1.36058 -2.41942  0.3311
O: -2.76248 1.30741 -3.08903  -0.6518
H: -0.65935 -1.87990 2.02483  0.2912
H: -1.39249 -3.14771 1.71668  0.3408
O: -0.87367 -2.73906 2.41835  -0.6853
H: -1.02929 0.63746 3.40081  0.2214
H: -0.05740 0.88689 2.23764  0.1426
O: -0.66177 0.22859 2.61365  -0.5744
H: -0.27733 2.40920 0.82837  0.5098
H: -0.53694 3.88491 1.29056  0.2725
O: -0.93684 3.01424 1.29940  -0.7020

HOMO level = -6.60 eV
Electronic energy = -1048.12320 Ha
Relative energy (zero: lowest compared OMol25 entry of this formula, charge and spin) = 27.8 kcal per mole
Max |F| = 3.326 eV Å⁻¹
Charge = -1

=====

Entry 3:
C15H32N7O3 | ωB97M-V with the def2-TZVPD basis set
+++

Recent extended school closures and activity cancellations are already tearing apart the stability that children are accustomed to, need and enjoy. Parents are grappling with new daytime extended child care requirements, unforecasted home school burdens and how to keep children productive.  

Many of us feel like we can't control much in our lives right now due to the threat of this powerful virus, but what we absolutely can control is how we react and what we do. Based on prior military experience as a battalion commander and 20-plus years of service in the Army dealing with intense uncertainty and high stress, I offer the following tips for how to turn this pandemic into a productive and positive experience while concurrently doing our part to maintain social distancing in support the nation’s battle against COVID-19.  

  • Lead … Make Lemons Out of Lemonade (or better yet, make a lemon-infused cocktail!) Take the restrictions and challenges presented by COVID-19 to create incredible opportunities. Continue to lead within your family and among your friends and colleagues. Be an example for your children and others to follow. 
  • Turn Uncertainty Into Certainty. This pandemic is plaguing society with heavy uncertainty, yet there is still so much we can control. Redirect your energy away from uncertainty and focus on those aspects of life that are certain.
  • Community. What are you doing to help your community? What talents or resources can you share for the betterment of others within your area? Do your elderly neighbors need assistance in a manner that you can support them within local restriction guidelines? If you are allowed to shop in your local community, remember that many small businesses are struggling during this crisis so wisely consider where you spend your hard-earned money.
  • Immunity. Improve your immune system through diet and exercise. Eat well and enjoy Vitamin C – this starts at home. If you do get sick, you will conquer it faster and more successfully if your immunity is strong.
  • Time. We traditionally never have enough time in our lives. If you are a parent of a school-aged child, you likely have far less time now if schools are closed. If you are not a parent of a school-aged child, you may have a lot more availability with so many activities and events cancelled. So, what are you going to do with this opportunity? Be decisive with time and make a productive plan.
  • Get Outside. Go camping with family, go for a walk/run/bike, and get outdoors. Enjoy spring!
  • Taxes. We have no excuse for not having time to get taxes done now. Knock them out. 
  • "To Do" List.  Closets and "to do" projects: now is the time. Tackle them.
  • Leverage Technology. Use Zoom, Skype, FaceTime, phone calls and letters to stay connected. We already have the tools and the means. Don't fret on how to pursue education or communicate: Keep living and learning. CAUTION: Don't stare at your devices all day.
  • Unplug. Communicate with family and friends. This is an invaluable time to do so.  
  • Opportunity. Focus on how to turn your COVID-19 prevention from a crisis into an unanticipated opportunity for growth, support, health, community and family.
  • Discounts and Offerings. Many local and national companies are offering exceptional deals and special accommodations to maintain their customer base. Check them out.
  • Invest. What financial investments can you make now to help later? Stocks are at record lows; consider buying.
  • Don't Hoard. So, where is all of the toilet paper for purchase across many stores nationwide, and why do people think they need it for COVID-19? This is a prime example of panic-induced purchases, and we shouldn’t selfishly hoard products that create a lack of availability for others.
  • Don't Mentally Suffocate; Stay Positive. Control your reactions to restrictive measures required to prevent and battle this pandemic. Positive, productive mental health is a huge component needed to fight this illness and will directly improve community response.
  • Create. Challenge yourself and your family to be more creative with resources and time. Expand your boundaries within your home. Paint a room, use a new recipe and rediscover your ingenuity.
  • Focus. Turn your focus from what you can't do to what you CAN do.
  • Win. We cannot fall victim to feeling sorry for ourselves or become hindered during this difficult time. Don't let this virus win – mentally or physically!

We will come together as a nation if we all do our part to prevent and fight the spread of COVID-19. Turning the challenges of this pandemic into opportunities to positively exploit growth individually, within our families, and to protect our communities will bind us together. As we tackle this new (temporary) normal, we can be more productive, stronger and happier if we focus on what we CAN do versus what we cannot!

(Army Col. Elizabeth A. Martin is assigned as a student at the U.S. Army War College, Carlisle Barracks, Pennsylvania.)